**Work order**
It remains to restate the rows below exactly.

**Input**
# 1
Os4Rh3 (GGA-PBE, optimized geometry); D(E_F) = 10.12 states/eV/f.u.; SG = I4/mmm, No. 139; energy above the lowest structure with this stoichiometry = 0.0 kJ/mol of atoms; final energy = -9.068 eV per atom; energy of formation from the pure elements = 0.50 eV per atom
1.0
1.759 -3.262 9.081
0.998 1.280 9.673
-3.644 0.574 -9.088
Os Rh
4 3
direct
0.429 0.429 0.000
0.142 0.142 0.000
0.571 0.571 0.000
0.858 0.858 0.000
0.285 0.285 0.000
0.715 0.715 0.000
0.000 0.000 0.000

---

# 2
Os2Rh (GGA-PBE, optimized geometry); D(E_F) = 2.21 states/eV/f.u.; SG = Cmcm, No. 63; energy above the lowest structure with this stoichiometry = 2.9 kJ/mol of atoms; final energy = -9.898 eV per atom; energy of formation from the pure elements = 0.04 eV per atom
1.0
-0.739 0.295 -7.216
-2.001 -0.185 6.976
0.160 4.348 0.161
Rh Os
2 4
direct
0.668 0.332 0.000
0.888 0.112 0.500
0.220 0.780 0.500
0.997 0.003 0.000
0.558 0.442 0.500
0.335 0.665 0.000

---

# 3
Os2Rh (GGA-PBE, optimized geometry); D(E_F) = 3.02 states/eV/f.u.; SG = I4_1/amd, No. 141; energy above the lowest structure with this stoichiometry = 9.7 kJ/mol of atoms; final energy = -9.826 eV per atom; energy of formation from the pure elements = 0.11 eV per atom
1.0
-1.818 -3.033 1.554
-0.189 -1.669 -3.478
11.109 -2.737 2.853
Os Rh
8 4
direct
0.752 0.752 0.503
0.248 0.248 0.497
0.498 0.998 0.997
0.667 0.167 0.334
0.583 0.583 0.166
0.417 0.417 0.834
0.833 0.333 0.666
0.002 0.502 0.003
0.082 0.082 0.164
0.918 0.918 0.836
0.168 0.668 0.336
0.332 0.832 0.664

---

# 4
OsRh (GGA-PBE, optimized geometry); D(E_F) = 2.66 states/eV/f.u.; SG = I4_1/amd, No. 141; final energy = -9.182 eV per atom; energy of formation from the pure elements = 0.11 eV per atom
1.0
-1.931 1.931 3.810
1.931 -1.931 3.810
1.931 1.931 -3.810
Rh Os
2 2
direct
0.500 0.500 0.000
0.250 0.750 0.500
0.750 0.250 0.500
0.000 0.000 0.000

---

# 5
OsRh4 (GGA-PBE, optimized geometry); D(E_F) = 6.53 states/eV/f.u.; SG = C2, No. 5; energy above the lowest structure with this stoichiometry = 1.5 kJ/mol of atoms; final energy = -8.079 eV per atom; energy of formation from the pure elements = 0.05 eV per atom
1.0
5.165 0.226 -0.033
-2.324 3.207 -2.591
-0.056 -0.195 8.453
Rh Os
8 2
direct
0.005 0.625 0.054
0.400 0.221 0.450
0.007 0.785 0.548
0.198 0.582 0.751
0.602 0.182 0.148
0.795 0.812 0.847
0.793 0.982 0.351
0.400 0.380 0.950
0.600 0.015 0.649
0.201 0.417 0.251

---

# 6
OsRh (GGA-PBE, optimized geometry); D(E_F) = 1.61 states/eV/f.u.; SG = I4/m, No. 87; final energy = -8.192 eV per atom; energy of formation from the pure elements = 1.10 eV per atom
1.0
11.435 0.000 0.000
0.000 11.435 0.000
0.000 0.000 2.611
Os Rh
8 8
direct
0.750 0.111 0.500
0.750 0.389 0.000
0.889 0.750 0.500
0.250 0.889 0.500
0.611 0.750 0.000
0.389 0.250 0.000
0.111 0.250 0.500
0.250 0.611 0.000
0.105 0.737 0.500
0.737 0.895 0.500
0.605 0.237 0.000
0.763 0.605 0.000
0.237 0.395 0.000
0.263 0.105 0.500
0.895 0.263 0.500
0.395 0.763 0.000

---

# 7
OsRh (GGA-PBE, optimized geometry); D(E_F) = 2.67 states/eV/f.u.; SG = P6_3/mmc, No. 194; final energy = -8.432 eV per atom; energy of formation from the pure elements = 0.86 eV per atom
1.0
1.976 -3.422 0.000
1.976 3.422 0.000
0.000 0.000 5.014
Rh Os
2 2
direct
0.667 0.333 0.750
0.333 0.667 0.250
0.000 0.000 0.000
0.000 0.000 0.500

---

# 8
Os5Rh4 (GGA-PBE, optimized geometry); D(E_F) = 8.80 states/eV/f.u.; SG = I4/mmm, No. 139; energy above the lowest structure with this stoichiometry = 0.0 kJ/mol of atoms; final energy = -9.441 eV per atom; energy of formation from the pure elements = 0.06 eV per atom
1.0
-4.593 -5.257 4.238
-1.016 -4.530 -6.719
-1.230 -5.909 -0.794
Os Rh
5 4
direct
0.336 0.336 0.000
0.000 0.000 0.000
0.664 0.664 0.000
0.664 0.336 0.000
0.336 0.664 0.000
0.328 0.000 0.000
0.672 0.000 0.000
0.000 0.328 0.000
0.000 0.672 0.000

---

# 9

**Here it is**
# 1
Os4Rh3 (GGA-PBE, optimized geometry); D(E_F) = 10.12 states/eV/f.u.; SG = I4/mmm, No. 139; energy above the lowest structure with this stoichiometry = 0.0 kJ/mol of atoms; final energy = -9.068 eV per atom; energy of formation from the pure elements = 0.50 eV per atom
1.0
1.759 -3.262 9.081
0.998 1.280 9.673
-3.644 0.574 -9.088
Os Rh
4 3
direct
0.429 0.429 0.000
0.142 0.142 0.000
0.571 0.571 0.000
0.858 0.858 0.000
0.285 0.285 0.000
0.715 0.715 0.000
0.000 0.000 0.000

---

# 2
Os2Rh (GGA-PBE, optimized geometry); D(E_F) = 2.21 states/eV/f.u.; SG = Cmcm, No. 63; energy above the lowest structure with this stoichiometry = 2.9 kJ/mol of atoms; final energy = -9.898 eV per atom; energy of formation from the pure elements = 0.04 eV per atom
1.0
-0.739 0.295 -7.216
-2.001 -0.185 6.976
0.160 4.348 0.161
Rh Os
2 4
direct
0.668 0.332 0.000
0.888 0.112 0.500
0.220 0.780 0.500
0.997 0.003 0.000
0.558 0.442 0.500
0.335 0.665 0.000

---

# 3
Os2Rh (GGA-PBE, optimized geometry); D(E_F) = 3.02 states/eV/f.u.; SG = I4_1/amd, No. 141; energy above the lowest structure with this stoichiometry = 9.7 kJ/mol of atoms; final energy = -9.826 eV per atom; energy of formation from the pure elements = 0.11 eV per atom
1.0
-1.818 -3.033 1.554
-0.189 -1.669 -3.478
11.109 -2.737 2.853
Os Rh
8 4
direct
0.752 0.752 0.503
0.248 0.248 0.497
0.498 0.998 0.997
0.667 0.167 0.334
0.583 0.583 0.166
0.417 0.417 0.834
0.833 0.333 0.666
0.002 0.502 0.003
0.082 0.082 0.164
0.918 0.918 0.836
0.168 0.668 0.336
0.332 0.832 0.664

---

# 4
OsRh (GGA-PBE, optimized geometry); D(E_F) = 2.66 states/eV/f.u.; SG = I4_1/amd, No. 141; final energy = -9.182 eV per atom; energy of formation from the pure elements = 0.11 eV per atom
1.0
-1.931 1.931 3.810
1.931 -1.931 3.810
1.931 1.931 -3.810
Rh Os
2 2
direct
0.500 0.500 0.000
0.250 0.750 0.500
0.750 0.250 0.500
0.000 0.000 0.000

---

# 5
OsRh4 (GGA-PBE, optimized geometry); D(E_F) = 6.53 states/eV/f.u.; SG = C2, No. 5; energy above the lowest structure with this stoichiometry = 1.5 kJ/mol of atoms; final energy = -8.079 eV per atom; energy of formation from the pure elements = 0.05 eV per atom
1.0
5.165 0.226 -0.033
-2.324 3.207 -2.591
-0.056 -0.195 8.453
Rh Os
8 2
direct
0.005 0.625 0.054
0.400 0.221 0.450
0.007 0.785 0.548
0.198 0.582 0.751
0.602 0.182 0.148
0.795 0.812 0.847
0.793 0.982 0.351
0.400 0.380 0.950
0.600 0.015 0.649
0.201 0.417 0.251

---

# 6
OsRh (GGA-PBE, optimized geometry); D(E_F) = 1.61 states/eV/f.u.; SG = I4/m, No. 87; final energy = -8.192 eV per atom; energy of formation from the pure elements = 1.10 eV per atom
1.0
11.435 0.000 0.000
0.000 11.435 0.000
0.000 0.000 2.611
Os Rh
8 8
direct
0.750 0.111 0.500
0.750 0.389 0.000
0.889 0.750 0.500
0.250 0.889 0.500
0.611 0.750 0.000
0.389 0.250 0.000
0.111 0.250 0.500
0.250 0.611 0.000
0.105 0.737 0.500
0.737 0.895 0.500
0.605 0.237 0.000
0.763 0.605 0.000
0.237 0.395 0.000
0.263 0.105 0.500
0.895 0.263 0.500
0.395 0.763 0.000

---

# 7
OsRh (GGA-PBE, optimized geometry); D(E_F) = 2.67 states/eV/f.u.; SG = P6_3/mmc, No. 194; final energy = -8.432 eV per atom; energy of formation from the pure elements = 0.86 eV per atom
1.0
1.976 -3.422 0.000
1.976 3.422 0.000
0.000 0.000 5.014
Rh Os
2 2
direct
0.667 0.333 0.750
0.333 0.667 0.250
0.000 0.000 0.000
0.000 0.000 0.500

---

# 8
Os5Rh4 (GGA-PBE, optimized geometry); D(E_F) = 8.80 states/eV/f.u.; SG = I4/mmm, No. 139; energy above the lowest structure with this stoichiometry = 0.0 kJ/mol of atoms; final energy = -9.441 eV per atom; energy of formation from the pure elements = 0.06 eV per atom
1.0
-4.593 -5.257 4.238
-1.016 -4.530 -6.719
-1.230 -5.909 -0.794
Os Rh
5 4
direct
0.336 0.336 0.000
0.000 0.000 0.000
0.664 0.664 0.000
0.664 0.336 0.000
0.336 0.664 0.000
0.328 0.000 0.000
0.672 0.000 0.000
0.000 0.328 0.000
0.000 0.672 0.000

---

# 9